Strategic interactions amongst firms in a supply chain crucially depend on the ability to negotiate — could Vertical Integration be the key?
Of all the possible pitfalls to the global economic system that the COVID-19 pandemic has shed light on, perhaps none is more central than assuring the resilience of global supply chains. Over the last few years, several major global players such as Amazon have astutely highlighted the importance of supply chains as part of a firm’s competitive strategy to grow and capture significant market value.
In this regard, it would be highly prudent for firms to analyse, in-depth, the strategic interactions between customers and suppliers – and the ensuing effect on the firm’s asset prices. Asset Prices here refer to two related concepts: the valuation of a firm (i.e. the market value, made up of the sum of its total equity and debt holdings)and, its’ expected returns i.e. the returns on investment to shareholders.
The Upstream and Downstream of it
Despite evident knowledge of supply chains in production the finance literature has not, historically, paid much heed to strategic customer-supplier interactions – especially in their role in affecting a firm’s asset prices. Further research from the LSE blog asserts, that “because customer and supplier firms share common fundamentals, the rewards that both offer to their respective shareholders are naturally highly correlated – whether in terms of dividend payments or stock price capitalisation. However, unlike the recent literature in law, there has not been a focus on trying to explore how firms’ strategic behaviour in supply chains (such as that of Amazon or Google) plays a role in explaining asset prices.”
A rather critical aspect of a firm’s supply chain strategy is the terms of contract between the firm’s upstream and downstream suppliers: especially the terms by which upstream firms supply to downstream firms. ‘Upstream’ firms are those which lie early on in the production process, including activities such as exploration, extraction and drilling in the oil and gas industry; the obtaining of biological materials from external sources, grown in culture (or other controlled conditions) in biomanufacturing, or the preparation of intermediary goods required eventually in the production process; among several others. ‘Downstream’ processing refers to those activities that occur later on down the production line, such as in the development of a final product, or even post-production activities such as marketing.
A key aspect in supply chain optimisation is analysing the strategic interactions between these different levels of the production process. Researcher Maria Cecilia Bustamante opines: “The specificity of a firm’s inputs of production, the degree of product market competition either upstream or downstream, or the technologies that both customers and suppliers apply to produce and assemble their products, to name a few, are critical aspects affecting the negotiations between customers and suppliers over the cost and delivery of inputs of production.”
Misplaced records of crystals:
Theoretical X-ray powder pattern of Li3ZrPd7 for Cu Ka, from a cell relaxed with PBE.
Intensities are scaled so that the largest is 100.

Cell and atoms:
Cell: 8.5017 8.0807 5.1931 Å, 90.00 94.93 90.00°
Space group C2/m (No. 12)
Symmetry-distinct sites (fractional):
Li 0.0000 0.0000 0.0000 x2
Li 0.0000 0.1883 0.5000 x4
Zr 0.0000 0.5000 0.0000 x2
Pd 0.0000 0.5000 0.5000 x2
Pd 0.2252 0.0000 0.7156 x4
Pd 0.2486 0.3306 0.7684 x8

Principal peaks in the range 2θ = 5–70°, by angle:
| two_theta | Rel. int. |
| --- | --- |
| 15.2 | 62 |
| 21.0 | 100 |
| 38.8 | 86 |
| 38.9 | 29 |
| 39.2 | 80 |
| 39.6 | 93 |
| 42.5 | 56 |
| 42.7 | 58 |
| 49.0 | 51 |
| 51.0 | 33 |

***

Theoretical X-ray powder pattern of Ba3Au2 for Cu Ka, from a cell relaxed with PBE.
Intensities are scaled so that the largest is 100.

Cell and atoms:
Cell: 10.2199 10.2199 19.5698 Å, 90.00 90.00 120.00°
Space group R-3 (No. 148, hexagonal axes)
Symmetry-distinct sites (fractional):
Ba 0.0000 0.0000 0.0000 x3
Ba 0.0000 0.0000 0.1992 x6
Ba 0.0086 0.2633 0.5922 x18
Au 0.0225 0.6153 0.5705 x18

Principal peaks in the range 2θ = 5–70°, by angle:
| two_theta | Rel. int. |
| --- | --- |
| 11.0 | 33 |
| 17.4 | 25 |
| 27.0 | 29 |
| 27.3 | 44 |
| 28.2 | 100 |
| 30.3 | 80 |
| 32.4 | 70 |
| 32.6 | 84 |
| 37.8 | 22 |
| 55.8 | 22 |

***

Theoretical X-ray powder pattern of La5Dy2HoTh for Cu Ka, from a cell relaxed with PBE.
Intensities are scaled so that the largest is 100.

Cell and atoms:
Cell: 5.5064 21.7331 10.6945 Å, 90.00 90.00 90.00°
Space group Cmcm (No. 63)
Symmetry-distinct sites (fractional):
La 0.0000 0.0000 0.0000 x4
La 0.0000 0.1281 0.2500 x4
La 0.0000 0.2233 0.5579 x8
La 0.0000 0.4991 0.7500 x4
Dy 0.0000 0.3884 0.0064 x8
Ho 0.0000 0.1024 0.7500 x4
Th 0.0000 0.2888 0.2500 x4

Principal peaks in the range 2θ = 5–70°, by angle:
| two_theta | Rel. int. |
| --- | --- |
| 26.3 | 13 |
| 30.1 | 14 |
| 31.1 | 100 |
| 32.4 | 15 |
| 32.5 | 31 |
| 33.5 | 19 |
| 47.4 | 15 |
| 57.1 | 19 |
| 58.4 | 12 |
| 60.4 | 10 |

***

Theoretical X-ray powder pattern of Ce2DySi2Ni2 for Cu Ka, from a cell relaxed with PBE.
Intensities are scaled so that the largest is 100.

Cell and atoms:
Cell: 4.1076 4.1076 26.8928 Å, 90.00 90.00 120.00°
Space group R-3m (No. 166, hexagonal axes)
Symmetry-distinct sites (fractional):
Ce 0.0000 0.0000 0.1365 x6
Dy 0.0000 0.0000 0.0000 x3
Si 0.0000 0.0000 0.2629 x6
Ni 0.0000 0.0000 0.4040 x6

Principal peaks in the range 2θ = 5–70°, by angle:
| two_theta | Rel. int. |
| --- | --- |
| 25.3 | 43 |
| 28.4 | 14 |
| 30.1 | 12 |
| 34.4 | 100 |
| 36.8 | 63 |
| 44.1 | 72 |
| 50.9 | 14 |
| 57.1 | 23 |
| 58.7 | 16 |
| 69.6 | 33 |

~~~~~

Diffraction record for LiCo3SbP6O24. The PXRD pattern is calculated, not measured: it uses a PBE+U-relaxed structure and a wavelength of 1.5418 Å.
Intensities are scaled so that the largest is 100.

Peak list (10 most intense, 10° ≤ 2θ ≤ 90°, by angle)
Position (°2θ)	d [Å]	I (rel.)	index
14.86	5.960	87.8	0 1 1
20.51	4.330	49.1	0 1 -1
20.66	4.300	95.2	1 0 -1
Negotiating, Vertically
In analysing these ‘strategic interactions’, of particular interest is a firm’s ability to negotiate the various input prices involved in the various processes of the supply chain – its ‘vertical bargaining power’ – as these may prove to have direct effects on the firm’s valuation and expected returns. The firms involved in the production process, whether upstream or downstream, are severely interdependent: if one part of the supply chain wishes to expand capacity or cater to other markets, there is enough incentive for the other firms involved in the production process to invest towards growth as well.
Research has found three major noteworthy aspects in this regard: (1) firms’ ability to negotiate, i.e. their bargaining power; (2) how firms’ bargaining power in the supply chain affects their exposure to risk and (3) why larger firms such as Amazon lay stress on vertical integration.
- A firm’s ability to negotiate, i.e. its bargaining power, is grossly complementary with canonical theories of bargaining in economics. Firms with greater ‘impatience to invest’ owing to factors such as a smaller scale of production or less diversified sales have a considerably lesser degree of bargaining power in negotiating input prices in supply chains. They thereby extract a lower level of profits, and thus have lower firm value.
- In observing the effect of supply chain firms’ bargaining powers on market risk, the findings are rather interesting. Whilst it intuitively makes sense for firms with a higher profit margin to be better insulated against shocks, this holds true only in its current A more predominant effect is noted in its future operations, which are, in fact, found to be riskier.
Bustamante writes, “(this) is because firms with greater bargaining power extract a larger fraction of the expected value of all risky growth opportunities available in the supply chain. Consequently, they are more exposed to unexpected future fluctuations in the business cycle. It follows that firms with greater vertical bargaining power such as Amazon are not only more valuable, but also yield higher expected returns.”
........
(1)
# Mg14CuNiO16
Simulated powder diffraction line list, Cu Kα X-rays. Input: the PBE+U geometry in the Materials Project.

Structure:
```
data_Mg14CuNiO16
_cell_length_a 4.241
_cell_length_b 8.494
_cell_length_c 8.530
_cell_angle_alpha 90.00
_cell_angle_beta 90.00
_cell_angle_gamma 90.00
_space_group_name_H-M_alt 'P m m m'
_space_group_IT_number 47
_space_group_name_Hall '-P 2 2'
loop_
_atom_site_label
_atom_site_fract_x
_atom_site_fract_y
_atom_site_fract_z
Mg1 0.000 0.000 0.000
Mg2 0.000 0.000 0.500
Mg3 0.000 0.252 0.249
Mg4 0.500 0.000 0.250
Mg5 0.500 0.251 0.000
Mg6 0.500 0.252 0.500
Mg7 0.500 0.500 0.249
Cu1 0.000 0.500 0.500
Ni1 0.000 0.500 0.000
O1 0.000 0.000 0.251
O2 0.000 0.248 0.000
O3 0.000 0.250 0.500
O4 0.000 0.500 0.241
O5 0.500 0.000 0.000
O6 0.500 0.000 0.500
O7 0.500 0.251 0.250
O8 0.500 0.500 0.000
O9 0.500 0.500 0.500
```

Main lines, by angle (15° ≤ 2θ ≤ 90°):
- hkl 0 0 2, d = 4.256 Å, intensity 8
- hkl 1 1 0, d = 3.794 Å, intensity 6
- hkl 1 0 2, d = 3.006 Å, intensity 10
- hkl 1 2 2, d = 2.454 Å, intensity 30
- hkl 0 0 4, d = 2.133 Å, intensity 51
- hkl 2 0 0, d = 2.122 Å, intensity 100
- hkl 2 0 4, d = 1.504 Å, intensity 57
- hkl 2 4 0, d = 1.500 Å, intensity 28
- hkl 3 2 2, d = 1.280 Å, intensity 11
- hkl 2 4 4, d = 1.227 Å, intensity 26

(2)
# LiMn4O8
Simulated powder diffraction line list, Cu Kα X-rays. Input: the PBE+U geometry in the Materials Project.

Structure:
```
data_LiMn4O8
_cell_length_a 5.914
_cell_length_b 9.762
_cell_length_c 9.489
_cell_angle_alpha 90.00
_cell_angle_beta 90.00
_cell_angle_gamma 90.00
_space_group_name_H-M_alt 'C m c 21'
_space_group_IT_number 36
_space_group_name_Hall 'C 2c -2'
loop_
_atom_site_label
_atom_site_fract_x
_atom_site_fract_y
_atom_site_fract_z
Li1 0.000 0.127 0.000
Mn1 0.000 0.145 0.435
Mn2 0.000 0.382 0.936
Mn3 0.245 0.380 0.211
O1 0.000 0.034 0.612
O2 0.000 0.221 0.798
O3 0.000 0.278 0.287
O4 0.000 0.479 0.115
O5 0.229 0.273 0.036
O6 0.249 0.483 0.858
```

Main lines, by angle (15° ≤ 2θ ≤ 90°):
- hkl 0 2 1, d = 4.340 Å, intensity 100
- hkl 0 2 3, d = 2.654 Å, intensity 34
- hkl 2 0 2, d = 2.509 Å, intensity 24
- hkl 2 2 1, d = 2.443 Å, intensity 38
- hkl 2 2 2, d = 2.232 Å, intensity 15
- hkl 2 4 2, d = 1.750 Å, intensity 34
- hkl 0 4 4, d = 1.701 Å, intensity 16
- hkl 2 2 5, d = 1.518 Å, intensity 17
- hkl 2 6 1, d = 1.410 Å, intensity 10
- hkl 2 0 6, d = 1.395 Å, intensity 10

(3)
# ZnMo2P2O9
Simulated powder diffraction line list, Cu Kα X-rays. Input: the PBE+U geometry in the Materials Project.

Structure:
```
data_ZnMo2P2O9
_cell_length_a 14.806
_cell_length_b 6.653
_cell_length_c 7.539
_cell_angle_alpha 90.00
_cell_angle_beta 90.00
_cell_angle_gamma 90.00
_space_group_name_H-M_alt 'P n m a'
_space_group_IT_number 62
_space_group_name_Hall '-P 2ac 2n'
loop_
_atom_site_label
_atom_site_fract_x
_atom_site_fract_y
_atom_site_fract_z
Zn1 0.234 0.250 0.043
Mo1 0.000 0.000 0.000
Mo2 0.123 0.250 0.633
P1 0.077 0.750 0.628
P2 0.190 0.750 0.105
O1 0.007 0.750 0.483
........
So much for the materials data:
- Further insights from the empirical research find that greater competition in supply chains, whether downstream or upstream, reduces the asset prices of larger and more diversified firms with greater vertical bargaining power. This is because larger firms extract most of its future profits through input prices, and increased competition only leads to decreasing profit margins. This is perhaps the reason why several major global firms with large supply chains, such as Amazon, are looking towards vertical integration or reducing the number of intermediary nodes of production.
Further research surrounding vertical mergers, strategic interactions in supply chains and asset prices could prove to be rather beneficial in strengthening supply chain dynamics for the future.
Reference: Bustamante, Maria Cecilia, Customer-Supplier Interactions and Expected Returns (December 1, 2020). Available at SSRN: